Contents:
┌──
The following is a DFT calculation (the ωB97M-V functional and the def2-TZVPD basis) of a gas-phase ion, C23H28N5O (charge +1).

Structure (XYZ):
```
57
Properties=species:S:1:pos:R:3:forces:R:3
C 2.316 4.815 5.196 -0.1 0.0 0.1
C 1.968 3.585 5.724 0.0 0.1 0.1
C 2.268 2.423 5.033 0.1 -0.1 -0.1
C 2.927 2.482 3.814 0.0 -0.1 0.1
C 3.275 3.721 3.290 0.0 0.0 0.0
C 2.969 4.881 3.976 0.0 0.0 -0.1
H 3.245 5.840 3.562 0.0 0.1 0.0
H 3.785 3.763 2.339 0.1 0.0 -0.1
C 3.273 1.230 3.049 0.1 0.0 0.0
H 4.362 1.139 2.998 0.0 -0.1 0.0
H 2.876 0.348 3.583 0.0 0.0 0.0
N 2.772 1.317 1.687 0.0 -0.1 0.0
H 1.212 -2.923 -0.288 -0.1 0.2 0.0
C 1.321 1.403 1.653 -0.1 0.2 -0.1
H 1.030 2.429 1.893 -0.1 -0.1 0.0
H 0.860 0.742 2.409 0.0 0.0 0.0
C 0.786 1.028 0.280 -0.2 0.5 0.3
N 1.088 -0.370 0.010 0.0 -0.3 -0.2
C 0.225 -1.134 -0.648 -0.1 -0.3 0.0
N 0.441 -2.475 -0.762 0.3 0.2 0.3
C -0.272 -3.217 -1.683 -0.5 0.0 -0.4
C 0.132 -4.508 -2.012 0.0 0.0 0.0
C -0.512 -5.189 -3.022 0.0 0.2 0.1
C -1.527 -4.568 -3.743 -0.1 0.1 -0.1
C -1.958 -3.305 -3.400 0.1 -0.1 0.0
C -1.385 -2.627 -2.316 0.3 -0.3 0.1
C -1.767 -1.313 -1.813 0.3 0.1 0.3
N -0.876 -0.591 -1.133 -0.2 0.1 -0.2
N -2.963 -0.763 -1.982 0.3 -0.2 0.0
C -3.193 0.645 -1.713 -0.1 0.7 -0.2
H -3.911 0.748 -0.895 0.1 0.0 0.0
H -2.252 1.120 -1.444 -0.2 0.0 0.0
C -3.773 1.280 -2.989 0.2 0.1 0.3
O -4.950 0.630 -3.397 -0.2 0.1 -0.1
C -4.729 -0.734 -3.650 0.0 -0.3 0.2
H -4.016 -0.857 -4.479 -0.1 0.0 0.0
C -4.190 -1.417 -2.383 -0.6 -0.2 -0.5
H -4.922 -1.254 -1.582 0.1 -0.1 -0.1
H -4.054 -2.487 -2.514 0.0 0.1 0.1
H -5.694 -1.156 -3.934 0.1 -0.1 0.0
H -3.018 1.239 -3.788 0.0 0.0 0.1
H -4.046 2.319 -2.803 0.1 0.0 0.0
H -2.707 -2.827 -4.007 -0.1 0.0 0.0
H -1.980 -5.077 -4.579 0.0 0.0 -0.1
H -0.200 -6.189 -3.280 0.0 -0.1 0.0
H 0.964 -4.955 -1.489 0.1 -0.1 0.1
C 2.342 -0.865 0.554 0.5 -0.1 0.2
H 2.169 -1.379 1.508 0.0 0.0 -0.1
C 3.289 0.326 0.769 0.0 -0.1 -0.2
H 3.465 0.804 -0.202 0.1 -0.2 0.0
H 4.248 -0.045 1.132 0.0 0.0 -0.1
H 2.809 -1.561 -0.149 0.0 0.0 0.0
H -0.297 1.150 0.243 0.2 0.1 0.0
H 1.237 1.664 -0.486 -0.1 0.0 0.0
H 1.996 1.464 5.452 0.0 -0.1 0.0
H 1.461 3.527 6.675 0.0 0.0 0.1
H 2.082 5.721 5.735 0.0 0.1 0.0
```
Positions in Å, forces in eV/Å.

Summary:
lowest unoccupied orbital energy	-3.142	eV
HOMO energy	-11.01	eV
charge	+1
SMILES string	c1ccc(CN2CCN(c3nc(=[N+]4CCOCC4)c4ccccc4[nH]3)CC2)cc1
HOMO-LUMO gap	7.869	eV
└──

To do:
Your job: find "3.814 0.0" and "-0.3 -0.2" in the lines further above, and duplicate these two lines and those between.

Completed:
C 2.927 2.482 3.814 0.0 -0.1 0.1
C 3.275 3.721 3.290 0.0 0.0 0.0
C 2.969 4.881 3.976 0.0 0.0 -0.1
H 3.245 5.840 3.562 0.0 0.1 0.0
H 3.785 3.763 2.339 0.1 0.0 -0.1
C 3.273 1.230 3.049 0.1 0.0 0.0
H 4.362 1.139 2.998 0.0 -0.1 0.0
H 2.876 0.348 3.583 0.0 0.0 0.0
N 2.772 1.317 1.687 0.0 -0.1 0.0
H 1.212 -2.923 -0.288 -0.1 0.2 0.0
C 1.321 1.403 1.653 -0.1 0.2 -0.1
H 1.030 2.429 1.893 -0.1 -0.1 0.0
H 0.860 0.742 2.409 0.0 0.0 0.0
C 0.786 1.028 0.280 -0.2 0.5 0.3
N 1.088 -0.370 0.010 0.0 -0.3 -0.2